Thursday, September 21, 2006

Bay Fair Shopping Center

San Leandro, California - circa 1960s

Wish I had a better version of this postcard, but at the present, I don't. At any rate, here's another mall I haven't covered yet, so that's always cool: the Bay Fair Shopping Center (as it was originally named), which was renamed "Bayfair Center" in 2004. I also see it referred to as just Bayfair Mall, too, so take your pick.

Anyway, in this old shot, aside from the large Woolworth's store in the middle, I can't quite make out the names of the other ones, though it looks like the store on the far right says something "King" (Drug King?), but I'm really not sure.

Mall history: 1957 - present
Developer: R.H. Macy & Co., Inc.
Current website: here
Current aerial view
Info from Wikipedia
Resource articles: 1
Previous entries: none


  1. Ah, my favorite Target is here (but not in the photo).
    Drug King is where they are building an Old Navy now. It was Long's Drugs for a very long time. The mall is enclosed now and the new owners have radically renovated most if it. Some parts remain unchanged from the early Eighties, like the food court and second level. You can read the history by following the Wikipedia link, which has a link to my Website, which has more pictures of the mall today. Sorry to toot my own horn!!

  2. Drug King was Rexall's attempt to compete with chains like Thrifty, Payless, and Longs. I don't know if Rexall actually owned them, but the stores DID sell their products and displayed their signs.

    There were a lot of them in the Oakland/East Bay area.

  3. Yea, the first part did look like it said drug even though I couldn't make out king. But now that I really look at it does say Rexall on the right of the Drug King.

    This is such a groovy looking shopping center with awesome cars!

  4. You've hit very close to home with this one. Thanks for incuding it in your blog!! I used to tag along with my mother to this mall quite often where she would shop with one of her friends. For the longest time Bay Fair had one of the only Macy's stores in the East Bay. (It's the large building in the background.) The second department store built on the site was Ward's which was to the right.

    Bay Fair started out as an outdoor mall and even had cool outdoor escalators (still in place). In the 70's the landscaping was forsaken in favor of enclosing the mall, making it dark and gloomy. An eighties overhaul introduced more skylights but covered the floors with white, pink and apple green tiles still there today.

    Bay Fair had the misfortune of being built in a very low income area with lots of crime scaring away the nice people. The demographics are slowly changing and the mall is finally getting an extreme makeover. Because it was built piecemiel though, Bay Fair suffers from a poor layout. There are some very strange space inside it.

    As a side note, the building to the extreme left in the photo was the Pinecone Restaurant. It had awesome oversize naugahide chairs prevalant in finer 1960's restaurants. It has since been torn down, (along with other parts of the original building), and replaced with a new Kohl's.

    I wish I remembered what the tall sign in the background was about. It looks pretty cool.

  5. I'm disappointed to hear there's a Macy's behind the Woolworth's, because I was thinking that that had to have been the biggest friggin' Woolworth's I've ever seen ;-)

  6. "I was thinking that that had to have been the biggest friggin' Woolworth's I've ever seen."

    Hehe. Actually the coolest Woolworth's I remember was at the corner of Market and Powell in San Francisco. It was a huge store that had lunch counters, bakery and deli areas. It offered a unique atmosphere that to me well represented San Francisco. It also had a neat downstairs basement that one cound enter directly from the underground BART station.

    The Woolworth's you see in the photo was not as big as others. It has been replaced with a Bed Bath & Beyond.

  7. Wow great photo. Wonder how much all those cars would be worth if you sold them today! Not familar with the Bay area but I guess this is near Oakland?

  8. San Leandro is immediately south of Oakland. At one time, you'd think the inside of this mall was the ghetto of Oakland, but it's improved significantly in the last year.

  9. The part of Bayfair directly in front of Macys was demolished in order to build Kohls and Bed Bath & Beyond. Both stores open out onto the mall like Woolworths and the other old stores did, but they are new buildings.

    The old Bayfair Woolworths was a pretty typical size, despite its appearance. Downtown San Francisco was indeed the World's largest until it was downsized in the 80's and converted to a Woolworths Express in the basement with Gap and other retailers filling in the old street level.

    It was quite common for major cities to have huge Woolworth stores in their downtowns. Houston, TX had one that lasted all the way until the end.

    There were however, some pretty big mall Woolworths as you got into the late 50's and 60's. Southland Mall in was an example in the Bay Area. It actually was on two levels, though it never had an escalator.

    With such a range in store sizes, I've often felt they should have branded the discount Woolco stores Woolworth as well. The name recognition may very well have given them a big enough boost to where they'd still be around today.

    Then maybe we wouldn't have to deal with those incompetent Wal-Mart greeters! (Was that incompetent or incontinent? oh well...)

  10. You're right, Southland (in Hayward, CA) did have a pretty good size Woolworth's. Going down to the basement level was always a treat because the pets and toys sections were down there. It pretty much kept it's character right up to the end. I also remember next door was a Harvest House restaurant.

    Recently, I was exploring around Southland's basement level and came across some of the original seating in the community room. Very 50's airport style seating with the sling "leather" seats.

    Anyone have any pics of early Southland?? It was one of Taubman's first indoor malls and was supposed to compare to Southdale in Edina, MN.

  11. I believe that BAY FAIR was the first suburban, regional, shopping mall to be accessible via a heavy rail rapid transit system (namely, BART).

    BAY FAIR station was on the first segment of the Bay Area Rapid Transit to open (MacArthur-to-Fremont, I believe). This was in September of 1972.

    I am not tee-totally certain of this, and any info to the contrary would be appreciated.....There were, also, at least a couple major shopping centers that were accessible from trolley car-type systems (Stonestown via San Fran's MUNI and Springfield Mall, via Philly's SEPTA).

    North Georgia

  12. Dean, stay tuned. I just scanned some awesome photos of Southland its first year from an Architectural Record magazine. It's got some great photos of the aviary and fountains. Check my blog, if you haven't. I'll post them next week.
    Didn't Woolworth's have an eatery downstairs, too? I tell ya, that underside of Southland is straight out of a nightmare (you know the kind, running like a snail down a long hall while being chased by some fast-moving something).

  13. Scott, I look forward to seeing your photos and your blog is really cool. Thanks for posting those mall logos!

    I don't remember Woolworth's having an eatery downstairs. They had the usual Luncheonette, a snack food (hot dogs, hot pretzels) counter, and the Harvest House next door. Downstairs I remember stuff like pets, sporting goods, toys, hardware stuff, and household goods. (Wow, how can I remember that?)

    One downstairs eatery that I do remember is the coffee shop in the basement of the Emporium in downtown San Francisco. It was decorated in pink. That's from the time when it was a bargain basement, and had other services like shoe repair.

  14. Thanks Dean!
    The eatery I was thinking of was the luncheonette counter. My parents wheren't one for buying meals at any stores. I only started going to The Village Cafe in Emporim-Capwell after I got an Emporim-Capwell credit card and discovered I could use it there!

  15. An open roof deck like the San Jose Valley Fair store, does anyone remember if Macy's BF had a roof-top carnival in the first years?

    -Mike Carroll Jr.

Calculated crystals, kept here for reference =
'''
No. 1
# Y3Ho4Tm3, optimized geometry, DFT PBE-GGA
data_Y3Ho4Tm3
_chemical_formula_sum 'Y6 Ho8 Tm6'
_cell_length_a 3.703
_cell_length_b 13.037
_cell_length_c 13.037
_cell_angle_alpha 90.00
_cell_angle_beta 90.00
_cell_angle_gamma 90.00
_space_group_name_H-M_alt 'A m m 2'
_space_group_IT_number 38
_space_group_name_Hall 'A 2 -2'
loop_
_atom_site_label
_atom_site_fract_x
_atom_site_fract_y
_atom_site_fract_z
Y1 0.000 0.000 0.000
Y2 0.000 0.172 0.671
Ho1 0.500 0.000 0.542
Ho2 0.500 0.000 0.798
Ho3 0.500 0.127 0.173
Tm1 0.000 0.000 0.342
Tm2 0.500 0.249 0.421
# Formation energy: 0.0993 eV/atom
# Crystal system: orthorhombic
# Calculated density: 7.564 Mg/m³

---

No. 2
# CsCrGa3, optimized geometry, DFT PBE-GGA
data_CsCrGa3
_chemical_formula_sum 'Cs1 Cr1 Ga3'
_cell_length_a 5.022
_cell_length_b 5.022
_cell_length_c 5.022
_cell_angle_alpha 90.00
_cell_angle_beta 90.00
_cell_angle_gamma 90.00
_space_group_name_H-M_alt 'P m -3 m'
_space_group_IT_number 221
_space_group_name_Hall '-P 4 2 3'
loop_
_atom_site_label
_atom_site_fract_x
_atom_site_fract_y
_atom_site_fract_z
Cs1 0.000 0.000 0.000
Cr1 0.500 0.500 0.500
Ga1 0.000 0.500 0.500
# Formation energy: 0.1822 eV/atom
# Crystal system: cubic
# Distance to the lowest polymorph of the same formula: 0.000 eV per atom
# Calculated density: 5.167 Mg/m³

---

No. 3
# Co2Pt5, optimized geometry, DFT PBE-GGA
data_Co2Pt5
_chemical_formula_sum 'Co4 Pt10'
_cell_length_a 8.842
_cell_length_b 8.842
_cell_length_c 2.697
_cell_angle_alpha 90.00
_cell_angle_beta 90.00
_cell_angle_gamma 90.00
_space_group_name_H-M_alt 'P 4/m b m'
_space_group_IT_number 127
_space_group_name_Hall '-P 4 2ab'
loop_
_atom_site_label
_atom_site_fract_x
_atom_site_fract_y
_atom_site_fract_z
Co1 0.181 0.319 0.000
Pt1 0.000 0.500 0.500
Pt2 0.064 0.795 0.500
# Formation energy: 0.0128 eV/atom
# Crystal system: tetragonal
# Calculated density: 17.221 Mg/m³

---

No. 4
# Cd7In3Hg2, optimized geometry, DFT PBE-GGA
data_Cd7In3Hg2
_chemical_formula_sum 'Cd21 In9 Hg6'
_cell_length_a 6.0499
_cell_length_b 6.0499
_cell_length_c 28.9232
_cell_angle_alpha 90.00
_cell_angle_beta 90.00
_cell_angle_gamma 120.00
_space_group_name_H-M_alt 'R -3 m'
_space_group_IT_number 166
_space_group_name_Hall '-R 3 2"'
loop_
_atom_site_label
_atom_site_fract_x
_atom_site_fract_y
_atom_site_fract_z
Cd1 0.0000 0.0000 0.0000
Cd2 0.0091 0.5045 0.4134
In1 0.0000 0.0000 0.3627
In2 0.0000 0.0000 0.5000
Hg1 0.0000 0.0000 0.1649
# Formation energy: 0.0624 eV/atom
# Crystal system: trigonal
# Distance to the lowest polymorph of the same formula: 0.022 eV per atom
# Calculated density: 8.327 Mg/m³

---

No. 5
# AcSbPt2Au2, optimized geometry, DFT PBE-GGA
data_AcSbPt2Au2
_chemical_formula_sum 'Ac2 Sb2 Pt4 Au4'
_cell_length_a 5.322
_cell_length_b 5.322
_cell_length_c 10.987
_cell_angle_alpha 90.00
_cell_angle_beta 90.00
_cell_angle_gamma 90.00
_space_group_name_H-M_alt 'I 4/m m m'
_space_group_IT_number 139
_space_group_name_Hall '-I 4 2'
loop_
_atom_site_label
_atom_site_fract_x
'''

  16. Yes, Bayfair did have a carnival, located at the upper terrace level, according to various Daily Review, 1957, articles. Kiddieland Bayfair had 14 rides, including a ferris wheel, tilt-a-whirl, octopus and the same sports car ride featured at Disneyland’s Tommorowland. Managed by Gene Cardoza, who also oversaw the rooftop Kiddieland “Skyrides” at San Jose’s Valley Fair, the park was open seven days a week at a cost of ten cents per ride. During Christmas, a helicopter landed near the Kiddieland area with Santa and his helpers, accompanied by the USMC 60-band to kick off the season, as they did with their Valley Fair sister in San Jose. Unlike Kiddieland Valley Fair’s short life (1956-1957), Daily Review ads for Kiddieland Bayfair were posted well into the early sixties.

    Mike Carroll
    Santa Clara Valley in the Fabulous Fifties!

  17. What was the name of the ice cream parlour that used to be there in the later 70s? It was like Farrell's but called something else.

  18. Do you know which ice cream parlor was located here? My cousins, brother and I swear it was Farrell's. One of my cousins even lived next door to Bay Fair Mall and had her 8th birthday party there; this was in 1975. They lived next door to Bay Fair until 2002. However, my friend and his family swear that it was Dreyer's. How can two families have entirely different memories? It's driving me bonkers. I've contacted Dreyer's but they do not keep a hisorty of locations as does Farrell's. Can anyone here help me determine which one it was?

This record from Alexandria via LeMat-Bulk describes a geometry-optimized CaCrC2 structure. The functional is PBE.

Unit cell a=4.0149 b=4.0149 c=4.0149 alpha=60.00 beta=60.00 gamma=60.00
Last column: nearest neighbours and their distance in Å.
Fractional coordinates of all 4 atoms:
Ca1 0.0000 0.0000 0.0000  8 C 2.46
Cr1 0.5000 0.5000 0.5000  8 C 2.46
C1 0.2500 0.2500 0.2500  4 Cr 2.46, 4 Ca 2.46
C2 0.7500 0.7500 0.7500  4 Cr 2.46, 4 Ca 2.46

Output
- Volume: 11.44 Å³ per atom
- E_form: 1.30 eV per atom
- Space-group type: Fm-3m
- Total magnetic moment: 2.00 Bohr magnetons per cell

This record from Alexandria via LeMat-Bulk describes a geometry-optimized CaCr3C structure. The functional is PBE.

Unit cell a=4.2353 b=4.2353 c=4.2353 alpha=90.00 beta=90.00 gamma=90.00
Last column: nearest neighbours and their distance in Å.
Fractional coordinates of all 5 atoms:
Ca1 0.0000 0.0000 0.0000  6 Cr 2.12
Cr1 0.0000 0.0000 0.5000  2 Ca 2.12
Cr2 0.0000 0.5000 0.0000  2 Ca 2.12
Cr3 0.5000 0.0000 0.0000  2 Ca 2.12
C1 0.5000 0.5000 0.5000  12 Cr 2.99

Output
- Volume: 15.19 Å³ per atom
- E_form: 3.77 eV per atom
- Space-group type: Pm-3m
- Total magnetic moment: 0.00 Bohr magnetons per cell

This record from Alexandria via LeMat-Bulk describes a geometry-optimized CaCr2C3 structure. The functional is PBE.

Unit cell a=5.8420 b=5.8420 c=5.0033 alpha=90.00 beta=90.00 gamma=112.72
Last column: nearest neighbours and their distance in Å.
Fractional coordinates of all 12 atoms:
Ca1 0.2103 0.7897 0.7500  8 C 2.87-3.21, 4 Cr 3.12
Ca2 0.7897 0.2103 0.2500  8 C 2.87-3.21, 4 Cr 3.12
Cr1 0.3090 0.3090 0.0000  4 C 1.93-1.94
Cr2 0.3090 0.3090 0.5000  4 C 1.93-1.94
Cr3 0.6910 0.6910 0.0000  4 C 1.93-1.94
Cr4 0.6910 0.6910 0.5000  4 C 1.93-1.94
C1 0.0356 0.1860 0.7500  1 C 1.43
C2 0.1860 0.0356 0.2500  1 C 1.43
C3 0.4169 0.5831 0.2500  4 Cr 1.94
C4 0.5831 0.4169 0.7500  4 Cr 1.94
C5 0.8140 0.9644 0.7500  1 C 1.43
C6 0.9644 0.8140 0.2500  1 C 1.43

Output
- Volume: 13.13 Å³ per atom
- E_form: 0.16 eV per atom
- Space-group type: Cmcm
- Total magnetic moment: 0.00 Bohr magnetons per cell

This record from Alexandria via LeMat-Bulk describes a geometry-optimized CaCrC2 structure. The functional is PBE.

Unit cell a=5.8304 b=5.8304 c=5.8304 alpha=30.57 beta=30.57 gamma=30.57
Last column: nearest neighbours and their distance in Å.
Fractional coordinates of all 4 atoms:
Ca1 0.0000 0.0000 0.0000  6 C 2.48
Cr1 0.5000 0.5000 0.5000  6 C 2.06
C1 0.2294 0.2294 0.2294  3 Cr 2.06
C2 0.7706 0.7706 0.7706  3 Cr 2.06

Output
- Volume: 11.36 Å³ per atom
- E_form: 0.51 eV per atom
- Space-group type: R-3m
- Total magnetic moment: 0.21 Bohr magnetons per cell

This record from Alexandria via LeMat-Bulk describes a geometry-optimized CaCrC2 structure. The functional is PBE.

Unit cell a=5.6466 b=5.6466 c=5.6466 alpha=124.37 beta=124.37 gamma=82.59
Last column: nearest neighbours and their distance in Å.
Fractional coordinates of all 8 atoms:
Ca1 0.0000 0.0000 0.0000  4 C 2.56

    1. It was Dreyer’s. Farrell’s was at Southland Mall.

  19. Does anyone remember the playground on the roof of Bayfair?

  20. One day each week my mother would take my grandmother to shop at Bayfair since she couldn't drive. I was maybe 6 or 7, so I came along too. This was the late 1960's, but I can still remember it pretty well.
    The Woolworths did have a nice size resturant area, and when you exited the back of the store you'd go about 10' before walking down some cement steps.
    One of the stores pictured is Hartfield's, which was a clothing store, I think mainly for woman. I also remember Drug King and the Pine Cone resturant.
    I remember at some point at the top of the escalator was a toy shop, that I think was opened up at the holidays. I bough a model car there, and I remember the floor being unfinished, like plywood.
    Near what would later become Wards, there was a good size bowling alley, and later a dairy Queen, where they had my favorite childhood meal: the Sizzledog. It was just a hot dof that was split down the middle and fried, but it was good!
    Lastly, I was too young too see the Kiddieland park, and would love to see pictures of it. I've tried web surfing and You Tube with no luck.
    What a cool web-site this is!


  21. I love the post that have been read here. I remeber Bay Fair mall quite well , having grown up there starting in the early seventies & saw changes until I left the Bay area for good in 1997. I loved that mall back when it was open the the sky throughout into interior w/ the Orange Julis cart next to the elevator. At the time it was all decked out with white black & pink tilework & had a terrific 50's feel. The other things I remember about that are was the drivein theater which was right next to the mall (west side) & the gocart track that was @ the southeast side.While the drive in was an eye sore with it's corrogated white & blue panel fencing, I used to love it & saw many movies there.Ahh those were the day's

  22. Dreyers was definitely the ice cream parlor that was in Bayfair... it was over near Montgomery Wards... I had my tonsils out when I was 5 in 1975 and made my grandparents take me there when I got out of the hospital! There also used to be a Drive In movie theater directly in front of the mall which is now where Ross and a little strip mall now exist. By the way... Macy's is exactly how it was back in the 80's when I hung out there as a teenager.. funny how time doesn't change some things. I miss the indoor bumper cars at Southland!

  23. After school, from 1969 -1971 I worked at the Dairy Queen located along Hesperian Blvd. near the mall. Sometime in the '70s the Dairy Queen building was taken over by a local hot dog chain. Between Dairy Queen and the main mall parking lot there were two drive-in movie theaters next to each other. I believe, before the mall was built, the area was a car racing track. My family used to order chicken to take out from Pinecone. I remember it fondly. Was that the only one or was it a chain?

  24. Ice Cream, we all scream for Ice Cream. It was a Dreyer's. We went there alot. Our daughter worked at Farrel's. It was at Southland.

  25. A friend of my husband's convinced Dreyers to let us use their name and we opened a restaurant patterned after Farrells in the Bay Fair Mall. The restaurant was not owned by Dreyers but used their ice cream exclusively. It was called Dreyers Ice Cream Parlour Restaurant. Twenty years later in Portland we chanced to met the manager of a Newport Bay Restaurant ( Newport Bay was started by the original owner of Farrells). The manager and his wife had met at age 16 when they had worked together at our Dreyers Ice Cream Parlour Restaurant in Bay Fair Shopping Center.

  26. Well, I guess the ice creme parlor mystery has been solved. Though I was sure it was Farrell's at Bayfair, it seems it was a Dreyer's after all... Did they wear the old time hats, and serve a HUGE ice creme dessert in a big cart that they wheeled out?

Unrelated to this article: crystal structures:
~~~
Entry from OQMD: Dy2Co after structural relaxation (GGA-PBE).

Output
Calculated density: 3.72 g/cm³
Crystal system: cubic
Uncorrected energy: -4.43 eV/atom
Magnetic moment: 0.0 μB/f.u.
Symmetry: Fd-3m (227)
Energy of formation: 1.01 eV per atom

Cell and atoms, written as POSCAR:
```
Dy2Co
1.0
3.9263 2.2669 6.4117
-3.9263 2.2669 6.4117
0.0000 -4.5338 6.4117
Co Dy
2 4
Cartesian
0.0000 0.0000 9.6176 Co
0.0000 0.0000 4.8088 Co
0.0000 -2.2669 10.4190 Dy
0.0000 0.0000 7.2132 Dy
1.9632 1.1334 10.4190 Dy
-1.9632 1.1334 10.4190 Dy
```

~~~~~

[1]
This record from Alexandria describes an optimized crystal structure of Ac3Sn2Pd9Au. The functional is GGA-PBE.

Calculated values
energy of formation	-50.70	kJ/mol of atoms
calculated volume	375.6	Å³/cell
E	-5.22	eV/atom
total magnetization	0.00	μB/f.u.

Lattice parameters (Å, degrees): 5.923 5.923 12.364 90.00 90.00 120.00
Atoms (fractional coordinates):
Ac  0.000  0.000  0.000
Ac  0.333  0.667  0.735
Ac  0.667  0.333  0.265
Sn  0.333  0.667  0.167
Sn  0.667  0.333  0.833
Pd  0.000  0.500  0.000
Pd  0.160  0.319  0.324
Pd  0.160  0.840  0.324
Pd  0.319  0.160  0.676
Pd  0.500  0.000  0.000
Pd  0.500  0.500  0.000
Pd  0.681  0.840  0.324
Pd  0.840  0.160  0.676
Pd  0.840  0.681  0.676
Au  0.000  0.000  0.500

[2]
This record from Alexandria describes an optimized crystal structure of Ac2Sn3Pd4Au. The functional is GGA-PBE.

Calculated values
energy of formation	-74.33	kJ/mol of atoms
calculated volume	236.3	Å³/cell
E	-5.20	eV/atom
total magnetization	0.00	μB/f.u.

Lattice parameters (Å, degrees): 4.672 4.672 10.825 90.00 90.00 90.00
Atoms (fractional coordinates):
Ac  0.000  0.500  0.244
Ac  0.500  0.000  0.756
Sn  0.000  0.000  0.000
Sn  0.000  0.500  0.622
Sn  0.500  0.000  0.378
Pd  0.000  0.000  0.500
Pd  0.000  0.500  0.865
Pd  0.500  0.000  0.135
Pd  0.500  0.500  0.500
Au  0.500  0.500  0.000

[3]
This record from Alexandria describes an optimized crystal structure of AcSnPd4Au2. The functional is GGA-PBE.

Calculated values
energy of formation	-48.88	kJ/mol of atoms
calculated volume	157.1	Å³/cell
E	-4.94	eV/atom
total magnetization	0.00	μB/f.u.

Lattice parameters (Å, degrees): 8.553 8.553 8.553 32.11 32.11 32.11
Atoms (fractional coordinates):
Ac  0.000  0.000  0.000
Sn  0.500  0.500  0.500
Pd  0.132  0.132  0.132
Pd  0.393  0.393  0.393
Pd  0.607  0.607  0.607
Pd  0.868  0.868  0.868
Au  0.252  0.252  0.252
Au  0.748  0.748  0.748

Question: Which formula does entry 1 have?
Answer: Ac3Sn2Pd9Au

Question: Among the records above, which one has the lowest E?
Answer: Ac3Sn2Pd9Au

What did the third record say?
This record from Alexandria describes an optimized crystal structure of AcSnPd4Au2. The functional is GGA-PBE.

Calculated values
energy of formation	-48.88	kJ/mol of atoms
calculated volume	157.1	Å³/cell
E	-4.94	eV/atom
total magnetization	0.00	μB/f.u.

Lattice parameters (Å, degrees): 8.553 8.553 8.553 32.11 32.11 32.11
Atoms (fractional coordinates):
Ac  0.000  0.000  0.000
~~~

  27. Farrell's was at Southland mall in Hayward. I had a birthday party there as well. I remember the Huge ice cream wheeled out on a cart with all the employees singing. It was near the Ice Skating Rink.

  28. I think the ice creamer parlor in Bay Fair Mall was Fenton's NOT Dreyer's.

  29. The ice cream parlor was indeed a Dreyers. I remember it had 1-2 arcade games inside and one was a "table type" Pacman game. Matter of fact it had Round Table Pizza, and Caspers (which was next to Dreyers)I'm only 45 but I can remember the drive-in theater across the street. I started working at Macy's in 1987, and there were a couple of old timers at Macys that were there from the beginning in the 50's. They would go on and on and on lol

  30. I actually worked at that Dreyer's Ice Cream Parlour in the summer of 1974. It was a summer job while I was attending San Jose State University. I lived in the Washington Manor district of San Leandro.

    Dreyer's had an entrance that overlooked the parking lot that led up to Woolworth's and Longs. The entry way had the cashier and was a holding area for people waiting for tables.

    To the left was the dining area that had 2-1/2 aisles of 6 booths each, and there was an area next to it that just had tables. Away from the parking lot side was our ice cream area, and behind that was the kitchen.

    Next to the kitchen was a washer and dryer, supposedly used to clean the towels that we used to wipe the tables. However, when you smell the tables and towels at many restaurants, they're mildewed. Ugh! Wash those towels more often than every 3 or 4 days! EVERY day would be smart!

    Further up the store was the dishwashing area. I did that when I wasn't busing. The other busboys would load up the bus trays really high at the end of the night by placing dinner plates on the side so they could pile stuff up. :-(

    After a short while I was "promoted" from busboy to the ice cream bar. That was a ton of fun. When the manager wasn't around, we'd play around by scooping at one end of the bar, and flinging the ice cream scoop to another guy down the walkway making a shake. You don't do that trick with sherbets, though. They tended to fall on the ground (that's why we played when the boss wasn't there).

    Wages back then for the waitpeople was $1.35. The rest of us got $1.65. That's because the waitpeople got tips. Now, in that place and in those days, tips were almost all coins, not dollars. Yes, people did leave pennies.

    I remember when doing the ice cream dish work that one day the manager came and showed us all the proper way to scoop a 3-ounce portion of ice cream. That was the standard scoop size except for the smaller parfaits. The boss's scoop was really scrimpy and wasn't full and round. After a couple of days we went back to scooping generously. We probably lost the company a lot of money, but the customers never complained. :-)

    Later during my stay at Dreyer's, the manager let me order the ice cream weekly from our main company in Oakland. First thing I did was order more vanilla! We would sometimes run completely out of that on weekends because vanilla went into probably 80% to 90% of all the sundaes. When the Dreyer's truck came in, I put the tubs on a hand truck and wheeled them into our medium-sized walk-in freezer. Sometimes it took 15 to 30 minutes to move everything around so that it all fit in. Lots of other stuff was in there like the restaurant side's big hunks of roast beef.

    On Friday and Saturday nights the place was full of ice cream loving customers. The entry was full of people waiting for a table for the entire 4- or 5-hour night shift. If you were working the ice cream, the spinning wheel would constantly be full of orders. I remember never seeing anything but the ice cream for the entire shift. When we went home, our arms were covered with a thin layer of ice cream. Looking backward at it, that was a ton of work for $1.65/hr. But -- it was a lot of fun and almost everyone who worked there were good friends.

    Dreyer's was bought in June 2002 by the megacorporation Nestle. Now I have no idea where the ice cream is made, and I don't trust that it's as good as it was in 1974. I also don't know when the Dreyer's Ice Cream Parlour at Bayfair was shut down. By then I'd started living in San Jose permanently.

    As I remember, there were only 4 Dreyer's Ice Cream Parlour Restaurants back then. I'm pretty sure all of them have closed. I also don't buy Dreyer's at the grocery store much because it's a premium high butterfat product that they charge $5.99 or more for 1.5 quarts (yeah, no more half gallons since a long time ago).
